**Input:**
2 unconnected molecules or ions with the total composition C5H12N2O at a distorted geometry. Source: the OMol25 dataset; level of theory: wB97M-V/def2-TZVPD.

Geometry as ORCA input:
```
! wB97M-V def2-TZVPD RIJCOSX def2/J DEFGRID3
* xyz 0 1
C -1.157 1.715 0.960
N -0.655 0.716 0.028
C 0.750 0.921 -0.563
C 0.813 0.468 -1.996
O 1.518 1.709 -0.043
H -1.680 2.499 0.412
H -0.326 2.147 1.520
H -1.872 1.238 1.634
H -1.344 0.354 -0.625
H 0.009 0.932 -2.573
H 0.693 -0.617 -2.045
H 1.778 0.742 -2.428
C -0.852 -2.174 0.446
C -0.047 -1.154 0.934
N 1.333 -1.135 0.565
H -1.914 -2.110 0.670
H -0.415 -3.136 0.191
H -0.169 -0.727 1.939
H 1.569 -1.829 -0.140
H 1.968 -0.558 1.116
*
```

For the electronic energy, the calculation gives -10404.8448 eV. As for the highest occupied orbital energy: -7.228 eV. The calculation puts the energy above the lowest of the compared OMol25 structures with the same formula, charge and spin at 345.3 kJ/mol. As for the SMILES: CNC(C)=O.C=CN. Its LUMO energy is 0.9 eV.

* * * * *

Record 1
Here is C17H20CeN2O5S as an isolated structure at a distorted geometry from the OMol25 dataset. Energies are from ωB97M-V/def2-TZVPD.

Structure (XYZ):
```
46
Properties=species:S:1:pos:R:3:forces:R:3
Ce 0.41190 -0.65589 1.06155 -0.4091 0.5091 0.2505
N 1.39091 -0.60632 3.65307 0.0051 0.0184 -0.1666
N 2.35375 0.21466 3.02519 0.3655 0.2253 0.1321
C 2.96695 -0.28196 1.86931 -0.3305 -1.1227 -0.3614
O 3.75026 0.39710 1.24787 0.3117 -0.0360 0.0562
O 2.43079 -1.44822 1.48687 0.8465 1.0614 0.0518
H 0.87629 -0.05543 4.32845 0.0465 0.0134 0.0456
H 1.82835 -1.40222 4.10674 -0.1121 -0.0550 0.1048
H 2.96673 0.77966 3.59846 -0.1303 0.1139 0.0451
O 0.78056 1.60350 0.67893 0.4474 0.6613 -0.4441
S 1.13539 2.72514 -0.31069 -0.3883 -0.4626 0.6749
C -0.46699 2.98316 -1.17787 -0.2151 -0.0188 -0.2821
C -1.55500 2.16152 -0.53971 0.2163 0.0811 0.0087
C -2.32493 2.71321 0.47091 -0.1620 -0.0569 0.1704
C -3.24467 1.92965 1.16664 0.0905 0.1011 -0.0649
C -3.39025 0.58903 0.85744 0.0020 -0.1149 -0.0372
C -2.63989 0.03148 -0.17703 -0.0790 -0.0032 0.1053
C -1.73295 0.81557 -0.87079 0.2289 0.0178 -0.1320
C 2.18198 1.93250 -1.55177 0.2379 -0.0679 -0.2929
C 1.60641 0.72247 -2.22804 -0.0987 0.0780 0.0279
C 0.88602 0.87108 -3.40786 -0.0979 -0.0529 -0.1103
C 0.24935 -0.21639 -3.99766 0.0137 0.0536 0.0235
C 0.31477 -1.46549 -3.40368 0.0020 -0.0541 0.0764
C 1.08001 -1.63990 -2.25417 0.0119 -0.0872 -0.1138
C 1.74943 -0.56286 -1.69123 0.0431 0.1651 0.1640
H -0.32335 2.72936 -2.22607 -0.0340 0.0175 0.0104
H -0.67389 4.04888 -1.09451 0.0250 -0.0007 -0.0045
H -2.20518 3.75691 0.73757 0.0151 -0.0105 -0.0201
H -3.83959 2.37033 1.95548 0.0121 0.0116 -0.0073
H -4.08935 -0.02440 1.40967 -0.0041 0.0052 -0.0111
H -2.76162 -1.01053 -0.44564 -0.0411 -0.0104 -0.0034
H -1.15429 0.37693 -1.67862 -0.0142 0.0199 -0.0476
H 3.09268 1.71070 -0.98844 -0.0208 -0.0238 0.0185
H 2.40450 2.73319 -2.26334 0.0295 -0.0294 0.0208
H 0.82880 1.84061 -3.89039 0.0126 -0.0055 0.0199
H -0.30111 -0.08418 -4.91983 0.0104 0.0213 0.0077
H -0.19379 -2.30928 -3.85082 0.0098 0.0081 0.0118
H 1.18728 -2.62373 -1.81532 0.0050 -0.0224 -0.0176
H 2.44278 -0.74908 -0.87153 0.0206 0.1546 0.0134
C -1.27725 -4.16207 2.25065 -0.2149 -0.1102 0.0832
C -0.98658 -2.82494 1.66673 -0.0002 0.1002 -0.3818
O -1.17338 -1.76334 2.33971 -0.4070 -0.4298 0.4244
O -0.48617 -2.70455 0.49381 -0.3107 -0.7084 0.0209
H -2.34447 -4.21798 2.47333 0.0226 -0.0196 -0.0142
H -0.75446 -4.26431 3.20140 0.0255 0.0291 -0.0203
H -0.99675 -4.96359 1.57525 0.0129 0.0358 -0.0348
```
Positions in Å, forces in eV/Å.

## Properties
Relative energy (zero: lowest compared OMol25 entry of this formula, charge and spin) = 0.0 kcal/mol
Net charge = +1
Spin multiplicity = 2
HOMO-LUMO gap (spin up / spin down) = 9.54 / 10.16 eV
E = -54933.45298 eV
LUMO energy (spin up / spin down) = -2.52 / -2.50 eV

---

Record 2
Here is C16H33CdClP2 as an isolated structure at a distorted geometry from the OMol25 dataset. Energies are from ωB97M-V/def2-TZVPD.

Structure (XYZ):

**Job:**
It remains to type out the material further up from the line with "0.813 0.468" to the end without additions.

**Result:**
C 0.813 0.468 -1.996
O 1.518 1.709 -0.043
H -1.680 2.499 0.412
H -0.326 2.147 1.520
H -1.872 1.238 1.634
H -1.344 0.354 -0.625
H 0.009 0.932 -2.573
H 0.693 -0.617 -2.045
H 1.778 0.742 -2.428
C -0.852 -2.174 0.446
C -0.047 -1.154 0.934
N 1.333 -1.135 0.565
H -1.914 -2.110 0.670
H -0.415 -3.136 0.191
H -0.169 -0.727 1.939
H 1.569 -1.829 -0.140
H 1.968 -0.558 1.116
*
```

For the electronic energy, the calculation gives -10404.8448 eV. As for the highest occupied orbital energy: -7.228 eV. The calculation puts the energy above the lowest of the compared OMol25 structures with the same formula, charge and spin at 345.3 kJ/mol. As for the SMILES: CNC(C)=O.C=CN. Its LUMO energy is 0.9 eV.

* * * * *

Record 1
Here is C17H20CeN2O5S as an isolated structure at a distorted geometry from the OMol25 dataset. Energies are from ωB97M-V/def2-TZVPD.

Structure (XYZ):
```
46
Properties=species:S:1:pos:R:3:forces:R:3
Ce 0.41190 -0.65589 1.06155 -0.4091 0.5091 0.2505
N 1.39091 -0.60632 3.65307 0.0051 0.0184 -0.1666
N 2.35375 0.21466 3.02519 0.3655 0.2253 0.1321
C 2.96695 -0.28196 1.86931 -0.3305 -1.1227 -0.3614
O 3.75026 0.39710 1.24787 0.3117 -0.0360 0.0562
O 2.43079 -1.44822 1.48687 0.8465 1.0614 0.0518
H 0.87629 -0.05543 4.32845 0.0465 0.0134 0.0456
H 1.82835 -1.40222 4.10674 -0.1121 -0.0550 0.1048
H 2.96673 0.77966 3.59846 -0.1303 0.1139 0.0451
O 0.78056 1.60350 0.67893 0.4474 0.6613 -0.4441
S 1.13539 2.72514 -0.31069 -0.3883 -0.4626 0.6749
C -0.46699 2.98316 -1.17787 -0.2151 -0.0188 -0.2821
C -1.55500 2.16152 -0.53971 0.2163 0.0811 0.0087
C -2.32493 2.71321 0.47091 -0.1620 -0.0569 0.1704
C -3.24467 1.92965 1.16664 0.0905 0.1011 -0.0649
C -3.39025 0.58903 0.85744 0.0020 -0.1149 -0.0372
C -2.63989 0.03148 -0.17703 -0.0790 -0.0032 0.1053
C -1.73295 0.81557 -0.87079 0.2289 0.0178 -0.1320
C 2.18198 1.93250 -1.55177 0.2379 -0.0679 -0.2929
C 1.60641 0.72247 -2.22804 -0.0987 0.0780 0.0279
C 0.88602 0.87108 -3.40786 -0.0979 -0.0529 -0.1103
C 0.24935 -0.21639 -3.99766 0.0137 0.0536 0.0235
C 0.31477 -1.46549 -3.40368 0.0020 -0.0541 0.0764
C 1.08001 -1.63990 -2.25417 0.0119 -0.0872 -0.1138
C 1.74943 -0.56286 -1.69123 0.0431 0.1651 0.1640
H -0.32335 2.72936 -2.22607 -0.0340 0.0175 0.0104
H -0.67389 4.04888 -1.09451 0.0250 -0.0007 -0.0045
H -2.20518 3.75691 0.73757 0.0151 -0.0105 -0.0201
H -3.83959 2.37033 1.95548 0.0121 0.0116 -0.0073
H -4.08935 -0.02440 1.40967 -0.0041 0.0052 -0.0111
H -2.76162 -1.01053 -0.44564 -0.0411 -0.0104 -0.0034
H -1.15429 0.37693 -1.67862 -0.0142 0.0199 -0.0476
H 3.09268 1.71070 -0.98844 -0.0208 -0.0238 0.0185
H 2.40450 2.73319 -2.26334 0.0295 -0.0294 0.0208
H 0.82880 1.84061 -3.89039 0.0126 -0.0055 0.0199
H -0.30111 -0.08418 -4.91983 0.0104 0.0213 0.0077
H -0.19379 -2.30928 -3.85082 0.0098 0.0081 0.0118
H 1.18728 -2.62373 -1.81532 0.0050 -0.0224 -0.0176
H 2.44278 -0.74908 -0.87153 0.0206 0.1546 0.0134
C -1.27725 -4.16207 2.25065 -0.2149 -0.1102 0.0832
C -0.98658 -2.82494 1.66673 -0.0002 0.1002 -0.3818
O -1.17338 -1.76334 2.33971 -0.4070 -0.4298 0.4244
O -0.48617 -2.70455 0.49381 -0.3107 -0.7084 0.0209
H -2.34447 -4.21798 2.47333 0.0226 -0.0196 -0.0142
H -0.75446 -4.26431 3.20140 0.0255 0.0291 -0.0203
H -0.99675 -4.96359 1.57525 0.0129 0.0358 -0.0348
```
Positions in Å, forces in eV/Å.

## Properties
Relative energy (zero: lowest compared OMol25 entry of this formula, charge and spin) = 0.0 kcal/mol
Net charge = +1
Spin multiplicity = 2
HOMO-LUMO gap (spin up / spin down) = 9.54 / 10.16 eV
E = -54933.45298 eV
LUMO energy (spin up / spin down) = -2.52 / -2.50 eV

---

Record 2
Here is C16H33CdClP2 as an isolated structure at a distorted geometry from the OMol25 dataset. Energies are from ωB97M-V/def2-TZVPD.

Structure (XYZ):